Recent content by Kinpatsu

  1. Kinpatsu

**Someone pasted molecular data at this point**
********
{
  "formula": "C22H38ClO21",
  "method": "the ωB97M-V functional and the def2-TZVPD basis",
  "max_force_ha_per_bohr": 0.18102,
  "e_tot_ev": -78928.1399,
  "e_homo_ev": -6.67,
  "orbital_gap_ha": 0.326,
  "total_charge": -1,
  "species": ["Cl", "O", "O", "O", "O", "C", "C", "C", "O", "C", "O", "O", "H", "H", "H", "H", "H", "H", "C", "C", "C", "O", "C", "O", "O", "H", "H", "H", "H", "H", "H", "C", "C", "C", "O", "C", "O", "O", "H", "H", "H", "H", "H", "H", "C", "C", "C", "O", "C", "O", "O", "H", "H", "H", "H", "H", "H", "C", "C", "C", "O", "C", "O", "O", "H", "H", "H", "H", "H", "H", "C", "O", "H", "H", "H", "H", "C", "O", "H", "H", "H", "H"],
  "positions_angstrom": [[0.270, 0.164, 0.536], [0.210, 1.039, 1.666], [1.570, 0.349, -0.077], [0.172, -1.181, 0.997], [-0.832, 0.489, -0.355], [-3.720, 3.896, -0.365], [-2.767, 2.917, -1.050], [-2.816, 1.445, -0.514], [-3.099, 0.669, -1.665], [-3.280, 1.509, -2.737], [-3.694, 1.127, -3.864], [-3.089, 2.704, -2.407], [-3.605, 4.946, -0.633], [-3.547, 3.881, 0.712], [-4.761, 3.634, -0.554], [-1.771, 3.362, -1.041], [-3.688, 1.351, 0.133], [-1.859, 1.280, -0.018], [3.557, -2.028, 0.362], [2.198, -2.452, -0.245], [1.822, -1.584, -1.368], [1.738, -2.493, -2.388], [2.133, -3.703, -2.113], [2.291, -4.601, -2.909], [2.321, -3.739, -0.859], [3.452, -0.981, 0.646], [4.343, -2.173, -0.379], [3.677, -2.637, 1.258], [1.438, -2.314, 0.524], [2.573, -0.820, -1.566], [0.892, -1.132, -1.022], [2.159, -1.694, 2.631], [3.338, -0.725, 2.509], [3.089, 0.588, 1.872], [3.689, 1.556, 2.819], [3.952, 0.933, 3.925], [4.543, 1.434, 4.901], [3.790, -0.417, 3.764], [2.436, -2.746, 2.567], [1.562, -1.713, 1.719], [1.420, -1.622, 3.429], [4.156, -1.147, 1.925], [2.076, 0.792, 1.527], [3.598, 0.644, 0.910], [-0.031, 1.925, -2.193], [-0.302, 2.934, -1.075], [0.905, 3.278, -0.215], [0.848, 4.730, -0.147], [0.062, 5.146, -1.110], [-0.188, 6.316, -1.407], [-0.603, 4.108, -1.695], [0.481, 2.359, -3.052], [-0.950, 1.537, -2.633], [0.426, 0.976, -1.913], [-0.983, 2.652, -0.272], [1.823, 3.007, -0.738], [1.002, 2.803, 0.761], [-3.041, -1.463, -3.338], [-1.668, -1.520, -2.682], [-1.747, -1.895, -1.232], [-0.850, -2.990, -1.167], [-0.223, -3.278, -2.387], [0.478, -4.225, -2.518], [-0.753, -2.455, -3.298], [-2.976, -1.211, -4.397], [-3.625, -0.737, -2.773], [-3.519, -2.439, -3.257], [-1.184, -0.550, -2.794], [-2.728, -2.292, -0.971], [-1.375, -1.108, -0.576], [-2.012, -2.521, 1.743], [-1.523, -1.339, 2.356], [-3.083, -2.671, 1.607], [-1.645, -2.746, 0.741], [-1.693, -3.356, 2.368], [-1.103, -0.787, 1.692], [-0.116, 0.118, 3.735], [-0.011, -0.712, 4.843], [0.862, 0.555, 3.534], [-0.363, -0.302, 2.760], [-0.826, 0.917, 3.946], [0.298, -1.572, 4.550]],
********

    LoadingReadyRun: Seth McDebit

    Dude, Matt is seriously looking good lately. Also, I would totally watch this movie. McDebit should make a comeback, or at least get a full-fledged story arc.
  2. Kinpatsu

    LoadingReadyRun: Punctu-action

    Well, -that- was darker than the average LRR video... I have to say, though, that watching Graham all hysterical about air quotes made me giggle. Graham Stark, fighting for truth, justice, and proper usage!
  3. Kinpatsu

    LoadingReadyRun: En Garde

    This episode was insanely good. I'd love to have something like this in a real game - even a quick cutscene would do the trick. It would certainly liven up all those FPSs my brother insists on keeping around the house.
  4. Kinpatsu

    Feed Dump: Commentary All Stars

    Holy shit it's Brad and Morgan! Missed them. :D Hopefully we see them again soon. Also, Graham, what the hell was that hat?
  5. Kinpatsu

    (Alleged) Pros at Cons

    ... Did you guys time-travel for this Loading Time? (The date on the video for Tsukino Con is 2/25. Or two days from now. Either this is a typo or you're secretly Time Lords.)
  6. Kinpatsu

    LoadingReadyRun: Jonny

    ... What the fuck, Graham? No, seriously, what the fuck. I have no idea what I spent the last five minutes watching. Also, I feel bad for Kathleen. Poor, sad underdrawer wrangler. :(
  7. Kinpatsu

    Feed Dump: My Cat Ate My Whopper

    Alex and LeeLee basically summed up my feelings on Jersey Shore in this episode. HULKSMASH. And hey, Return of the Dinosaur(/crocodile?) Hat!
  8. Kinpatsu

    LoadingReadyRun: Ways to Ring in the New Year

    I was coming into this thread to complain about the lack of a Sam Raimi for this X Ways to Y... and then I saw the stinger. Thanks for that. Also, the return of the purple cultist Snuggies made me giggle.
  9. Kinpatsu

    Feed Dump: Reindeer Pâté

    Alex and Matt Try To Get It Up was a little disturbing. It was like they were seeing into my soul. I was totally unprepared for that hat, by the way. When it started singing and dancing, I spat Pepsi at my screen.
  10. Kinpatsu

    Feed Dump: Frosty Cardboard Marmite

    Oh wow, an "in England" joke before you even got into your first news story. Congrats, Graham. The stinger made me giggle, although poor Paul really does look traumatized.
  11. Kinpatsu

    Feed Dump: Santa Drugs

    It's true. Detroiters hate Nickelback just as much as the rest of the world. (Can you tell I signed that petition?) Also, the way Graham said "butt puppies" at the very end was really funny and I have no idea why.
  12. Kinpatsu

    Feed Dump: Ash-Bullets & Wow-Butter

    Alex nearly pissing himself with laughter might have been the best part of this video.
  13. Kinpatsu

    Feed Dump: Sinkhole Pronounced Dead

    I would definitely use Kathleen's dead-or-alive service. Also, I'm surprised there's only one Viking hat in the LRR costume department - someone should go find another one.
  14. Kinpatsu

    Poll: Which of the big-title November releases has you more excited?

    Skyrim and Assassin's Creed are the ones I'm actually planning to buy. If we talk about just renting or playing through at a friend's house, I guess I'd be willing to try Saints Row and Uncharted. And of course, my younger brother will buy CoD and Halo.
  15. Kinpatsu

    Escapists; What are you listening to?

    Right now it's Ghost Love Score by Nightwish. Later it will probably be Rammstein.